Request >
Echo the contents underneath unchanged.

Contents >
........
[1]
TiGaPt | meta-GGA r2SCAN | relaxed

For the calculated formation energy, the calculation gives -0.891 eV per atom. As for the total energy: -26.180 eV/atom. The calculation puts the calculated density at 11.38 Mg/m³.

Lattice parameters (Å, degrees): 4.3845 4.3845 5.4802 90.00 90.00 120.00
Space group P6_3/mmc (No. 194)
Inequivalent atoms, fractional coordinates:
Ti (0.0000, 0.0000, 0.0000) x2
Ga (0.3333, 0.6667, 0.2500) x2
Pt (0.3333, 0.6667, 0.7500) x2

---

[2]
ErFeCo | meta-GGA r2SCAN | relaxed

For the calculated formation energy, the calculation gives -0.151 eV per atom. As for the total energy: -20.676 eV/atom. The calculation puts the calculated density at 10.02 Mg/m³.

Lattice parameters (Å, degrees): 5.176 5.202 6.947 90.00 90.00 90.00
Space group Imma (No. 74)
Inequivalent atoms, fractional coordinates:
Er (0.000, 0.250, 0.129) x4
Fe (0.250, 0.250, 0.750) x4
Co (0.000, 0.000, 0.500) x4

---

[3]
TmHO2 | meta-GGA r2SCAN | relaxed

For the calculated formation energy, the calculation gives -2.919 eV per atom. As for the total energy: -15.549 eV/atom. The calculation puts the calculated density at 7.70 Mg/m³.

Lattice parameters (Å, degrees): 5.848 5.368 5.851 90.00 108.57 90.00
Space group P2_1/c (No. 14)
Inequivalent atoms, fractional coordinates:
Tm (0.234, 0.015, 0.247) x4
H (0.280, 0.529, 0.232) x4
O (0.132, 0.139, 0.875) x4
........

Reply >
[1]
TiGaPt | meta-GGA r2SCAN | relaxed

For the calculated formation energy, the calculation gives -0.891 eV per atom. As for the total energy: -26.180 eV/atom. The calculation puts the calculated density at 11.38 Mg/m³.

Lattice parameters (Å, degrees): 4.3845 4.3845 5.4802 90.00 90.00 120.00
Space group P6_3/mmc (No. 194)
Inequivalent atoms, fractional coordinates:
Ti (0.0000, 0.0000, 0.0000) x2
Ga (0.3333, 0.6667, 0.2500) x2
Pt (0.3333, 0.6667, 0.7500) x2

---

[2]
ErFeCo | meta-GGA r2SCAN | relaxed

For the calculated formation energy, the calculation gives -0.151 eV per atom. As for the total energy: -20.676 eV/atom. The calculation puts the calculated density at 10.02 Mg/m³.

Lattice parameters (Å, degrees): 5.176 5.202 6.947 90.00 90.00 90.00
Space group Imma (No. 74)
Inequivalent atoms, fractional coordinates:
Er (0.000, 0.250, 0.129) x4
Fe (0.250, 0.250, 0.750) x4
Co (0.000, 0.000, 0.500) x4

---

[3]
TmHO2 | meta-GGA r2SCAN | relaxed

For the calculated formation energy, the calculation gives -2.919 eV per atom. As for the total energy: -15.549 eV/atom. The calculation puts the calculated density at 7.70 Mg/m³.

Lattice parameters (Å, degrees): 5.848 5.368 5.851 90.00 108.57 90.00
Space group P2_1/c (No. 14)
Inequivalent atoms, fractional coordinates:
Tm (0.234, 0.015, 0.247) x4
H (0.280, 0.529, 0.232) x4
O (0.132, 0.139, 0.875) x4